Fraud Attorney in Los Angeles
If you have charges stacked against you for fraud, it is important to keep informed, do your research, and hire professional legal help. This way, you can know your options and can get the most favorable outcome possible. What are the penalties for fraud charges in California, what does the criminal defense process look like, and why is it important to get a proper defense lawyer? The Law Office of Edward J. Blum represents individuals accused of fraud crimes in and around Los Angeles. They can answer these questions and more. Call today.

Fraud Penalties in California
Now that you have charges processing against you for fraud, you may be wondering what the penalties are when being charged in California.
False Declaration as of Eligibility: This can carry a penalty of a misdemeanor with six months in county jail or a $1,000 fine, or it can be charged as a felony with up to three years in prison.
Fraudulent Claims: This can carry a penalty of a misdemeanor with six months in county jail or a $1,000 fine. You can also be charged with a felony with up to five years in prison and a fine that does not exceed three times the fraud amount. If this causes two or more people serious bodily injury, an additional four years is added per person.
Kickbacks, Bribes, Rebates, or Solicitation: This can carry a penalty of a misdemeanor with six months in county jail or a $1,000 fine. It can also be charged as a felony of up to three years in prison with a $10,000 fine. If it is your second offense, then the penalties automatically are charged as a felony.
Grand Theft: The penalty for grand theft is a misdemeanor with one year in county jail and could be a felony with up to three years in prison.
False Writing: The penalty for false writing is a felony with up to five years in prison plus a $50,000 fine or double the fraud amount, whichever is greater.
~~~
Structure and simulated powder XRD pattern of CaPm6Y12 (a PBE-relaxed structure; Cu Ka).

Structural model:
a b c (Å): 15.7434 15.7434 8.8557
angles (deg): 90.00 90.00 120.00
Space group R-3 (No. 148, hexagonal axes)
Inequivalent atoms, fractional coordinates:
Ca 0.0000 0.0000 0.0000 x3
Pm 0.0344 0.2798 0.3298 x18
Y 0.0177 0.1419 0.6618 x18
Y 0.0669 0.5605 0.6672 x18

Largest 10 diffraction maxima, in order of rising 2θ, 10° ≤ 2θ ≤ 90°:
- d 7.872, intensity 6, (1 1 0)
- d 2.950, intensity 100, (3 2 1)
- d 2.555, intensity 50, (5 -3 2)
- d 1.806, intensity 35, (1 7 0)
- d 1.541, intensity 41, (10 -6 1)
- d 1.475, intensity 12, (6 4 2)
- d 1.277, intensity 5, (10 -6 4)
- d 1.173, intensity 4, (3 2 7)
- d 1.172, intensity 12, (11 1 1)
- d 1.143, intensity 15, (13 -4 2)



Structure and simulated powder XRD pattern of CaPm5Y3 (a PBE-relaxed structure; Cu Ka).

Structural model:
a b c (Å): 17.262 9.960 7.145
angles (deg): 90.00 90.00 90.00
Space group Cmcm (No. 63)
Inequivalent atoms, fractional coordinates:
Ca 0.000 0.183 0.250 x4
Pm 0.000 0.159 0.750 x4
Pm 0.155 0.349 0.750 x8
Pm 0.182 0.322 0.250 x8
Y 0.000 0.500 0.000 x4
Y 0.167 0.000 0.000 x8

Largest 10 diffraction maxima, in order of rising 2θ, 10° ≤ 2θ ≤ 90°:
- d 3.573, intensity 15, (0 0 2)
- d 2.967, intensity 14, (4 2 1)
- d 2.903, intensity 88, (3 1 2)
- d 2.876, intensity 100, (3 3 0)
- d 2.240, intensity 20, (3 3 2)
- d 2.043, intensity 29, (0 4 2)
- d 1.666, intensity 28, (6 4 2)
- d 1.661, intensity 16, (0 6 0)
- d 1.517, intensity 28, (3 3 4)
- d 1.216, intensity 11, (0 6 4)



Structure and simulated powder XRD pattern of CaPm3Y3 (a PBE-relaxed structure; Cu Ka).

Structural model:
a b c (Å): 6.906 8.633 9.421
angles (deg): 65.62 71.68 76.94
Space group P-1 (No. 2)
Inequivalent atoms, fractional coordinates:
Ca 0.046 0.196 0.008 x2
Pm 0.194 0.760 0.304 x2
Pm 0.236 0.957 0.557 x2
Pm 0.399 0.520 0.845 x2
Y 0.092 0.380 0.280 x2
Y 0.340 0.332 0.579 x2
Y 0.485 0.907 0.862 x2

Largest 10 diffraction maxima, in order of rising 2θ, 10° ≤ 2θ ≤ 90°:
- d 3.210, intensity 12, (0 1 -2)
- d 3.197, intensity 24, (-1 1 2)
- d 2.913, intensity 37, (2 2 2)
- d 2.814, intensity 26, (1 0 3)
- d 2.805, intensity 100, (1 2 -1)
- d 2.798, intensity 25, (0 3 1)
- d 2.158, intensity 12, (3 0 2)
- d 1.851, intensity 19, (1 -3 2)
- d 1.658, intensity 10, (2 5 3)
- d 1.561, intensity 16, (1 2 6)



Structure and simulated powder XRD pattern of CaPm5Y6 (a PBE-relaxed structure; Cu Ka).

Structural model:
a b c (Å): 11.996 10.887 6.287
angles (deg): 90.00 100.02 90.00
Space group C2/m (No. 12)
Inequivalent atoms, fractional coordinates:
Ca 0.000 0.000 0.000 x2
Pm 0.000 0.170 0.500 x4
Pm 0.000 0.338 0.000 x4
Pm 0.000 0.500 0.500 x2
Y 0.246 0.331 0.747 x8
Y 0.248 0.500 0.256 x4

Largest 10 diffraction maxima, in order of rising 2θ, 10° ≤ 2θ ≤ 90°:
- d 2.962, intensity 100, (2 0 -2)
- d 2.953, intensity 33, (4 0 0)
- d 2.564, intensity 67, (2 0 2)
- d 1.815, intensity 23, (1 3 -3)
- d 1.811, intensity 23, (6 0 -2)
~~~
False Health Care Benefit Claim: When the fraud amount is $950 or less, the penalty is a misdemeanor with one year in county jail and/or a $1,000 fine. When the amount is more than $950, the penalty is a misdemeanor with a one-year jail sentence and/or $10,000 fine, or a felony with up to five years in prison with a $50,000 fine or double the fraud amount, whichever is greater.
Claim For Unused Health Care Benefit: An fraud amount of $950 or less is a penalty of a misdemeanor with one year in county jail and/or a $1,000 fine. An amount of fraud of greater than $950, the penalities are a misdemeanor with a one-year jail sentence and/or a $10,000 fine or a felony with up to five years in prison with a $50,000 fine or double the fraud amount, whichever is greater.
The price people pay for committing fraud is not cheap. It is important that if you are charged with this crime, that you hire a defense lawyer to know what your options are.
The Criminal Defense Process
So, now that you know what penalties could be brought against you, it is good to know how the criminal defense process works. This way, you can hire a professional defense lawyer, like Edward J. Blum, to help get you started.
- First, your attorney will review the documents with the charges being brought against you, as well as the police reports of the charges.
- Then, your attorney will identify witnesses, if there are any to testify, and depose witnesses.
- Next, your attorney will review discovery evidence and determine the strength of your case.
- Lastly, your attorney will decide whether you should plead or go to trial based on the charges against you.
Benefits of a Private Criminal Defense Lawyer
Although public defenders are free, they are oftentimes overworked and stressed, which may lead to a plea that is not in your favor. If you are charged with fraud, you want to make sure that you have the best possible private defense lawyer, like Edward J. Blum, who has the time and resources to build a strong defense. Edward J. Blum has been defending fraud charges for the past 17 years and knows exactly what is at stake when it comes to your case. Edward J. Blum also knows the laws when it comes to fraud and will do everything in his legal power to help you attain a favorable outcome.
Hire a Los Angeles Fraud Attorney Today
You may be able to get a public defense lawyer for free, but who knows what you are risking when it comes to your case. You want to hire a private defense lawyer who is knowledgeable and experienced enough to help you. That is why it is important to hire someone like Edward J. Blum. Don’t delay. Call attorney Edward J. Blum today.